Contents =
~~~
Starting from a structure optimized by DFT (GGA+U), the powder diffractogram of Mn5V2H4O12 was computed for Cu Kα (weighted mean of Kα1 and Kα2).
No peak broadening, texture or thermal motion is included.

Atomic structure:
```
data_Mn5V2H4O12
_chemical_formula_sum 'Mn10 V4 H8 O24'
_cell_length_a 9.7940
_cell_length_b 9.5769
_cell_length_c 5.4390
_cell_angle_alpha 90.00
_cell_angle_beta 98.97
_cell_angle_gamma 90.00
_symmetry_space_group_name_H-M 'C 1 2/m 1'
_symmetry_Int_Tables_number 12
loop_
_symmetry_equiv_pos_as_xyz
'x,y,z'
'-x,-y,-z'
'-x,y,-z'
'x,-y,z'
'x+1/2,y+1/2,z'
'-x+1/2,-y+1/2,-z'
'-x+1/2,y+1/2,-z'
'x+1/2,-y+1/2,z'
loop_
_atom_site_label
_atom_site_type_symbol
_atom_site_fract_x
_atom_site_fract_y
_atom_site_fract_z
Mn1 Mn 0.0000 0.0000 0.0000
Mn2 Mn 0.0000 0.1785 0.5000
Mn3 Mn 0.0000 0.3448 0.0000
V1 V 0.1889 0.5000 0.5580
H1 H 0.2039 0.1584 0.8686
O1 O 0.1048 0.1671 0.8703
O2 O 0.1246 0.5000 0.8437
O3 O 0.1267 0.0000 0.3764
O4 O 0.1306 0.3530 0.3801
```

Largest 6 diffraction maxima, in order of rising 2θ, 10° ≤ 2θ ≤ 80°:
(2 0 0), 2θ = 18.3°, 4.837 Å, intensity 87
(1 3 -1), 2θ = 33.2°, 2.697 Å, intensity 100
(0 0 2), 2θ = 33.4°, 2.686 Å, intensity 48
(3 3 -1), 2θ = 41.5°, 2.177 Å, intensity 56
(1 3 -3), 2θ = 58.6°, 1.576 Å, intensity 41
(5 3 1), 2θ = 60.7°, 1.525 Å, intensity 35

----------

The following is a calculated XRD peak list of Rb3Ce2CuSe6. It was derived from a DFT-relaxed cell (GGA-PBE, Alexandria), using Cu Kα, 1.54184 Å.
No peak broadening, texture or thermal motion is included.

Peak list (10 most intense, 2θ = 10–90°, by intensity)
- 2θ = 27.93°, rel. 100
- 2θ = 29.34°, rel. 37
- 2θ = 43.12°, rel. 30
- 2θ = 11.21°, rel. 26
- 2θ = 38.69°, rel. 25
- 2θ = 40.38°, rel. 18
- 2θ = 39.43°, rel. 17
- 2θ = 50.70°, rel. 14
- 2θ = 57.72°, rel. 9
- 2θ = 53.59°, rel. 9

Atomic structure:
Unit cell a=7.1298 b=13.4013 c=8.2250 alpha=90.00 beta=106.37 gamma=90.00
Space group C2/m (No. 12)
Asymmetric unit:
Rb1 0.0000 0.0000 0.0000 x2
Rb2 0.0000 0.3448 0.0000 x4
Ce1 0.0000 0.1650 0.5000 x4
Cu1 0.0000 0.5000 0.5000 x2
Se1 0.2417 0.5000 0.3347 x4
Se2 0.2437 0.3179 0.7051 x8

***

The following is a calculated XRD peak list of Si3Ir3Au. It was derived from a DFT-relaxed cell (GGA-PBE, Alexandria), using Cu Kα, 1.54184 Å.
No peak broadening, texture or thermal motion is included.

Peak list (10 most intense, 2θ = 10–90°, by intensity)
- 2θ = 33.63°, rel. 100
- 2θ = 30.62°, rel. 75
- 2θ = 52.45°, rel. 57
- 2θ = 27.32°, rel. 43
- 2θ = 56.38°, rel. 24
- 2θ = 50.40°, rel. 20
- 2θ = 65.53°, rel. 18
- 2θ = 80.61°, rel. 17
- 2θ = 83.84°, rel. 16
- 2θ = 63.76°, rel. 16

Atomic structure:
Unit cell a=6.5278 b=6.5278 c=6.5278 alpha=90.00 beta=90.00 gamma=90.00
Space group Pm-3n (No. 223)
Asymmetric unit:
Si1 0.0000 0.2500 0.5000 x6
Ir1 0.0000 0.5000 0.2500 x6
Au1 0.0000 0.0000 0.0000 x2

----------

(1)
Calculated powder XRD pattern of AcCrH3O6 for copper Kα, from a cell relaxed with PBE+U.
Lines closer than 0.1° are merged.

Atomic structure:
Unit cell a=5.9714 b=5.9714 c=12.9097 alpha=90.00 beta=90.00 gamma=120.00
Space group R3 (No. 146, hexagonal axes)
Unique sites:
Ac 0.0000 0.0000 0.0000 (multiplicity 3)
Cr 0.0000 0.0000 0.7424 (multiplicity 3)
H 0.1890 0.8007 0.2411 (multiplicity 9)
O 0.0497 0.4627 0.4691 (multiplicity 9)
O 0.1007 0.7083 0.3042 (multiplicity 9)

Main lines, by angle (15 to 90 degrees two-theta):
- 2θ = 18.48°, intensity 1000, hkl 1 0 1
- 2θ = 20.64°, intensity 271, hkl 0 0 3
- 2θ = 22.02°, intensity 247, hkl 0 1 2
- 2θ = 29.93°, intensity 345, hkl 1 1 0
- 2θ = 32.71°, intensity 309, hkl 1 0 4
- 2θ = 35.40°, intensity 180, hkl 0 2 1
- 2θ = 36.63°, intensity 406, hkl 2 -1 3
- 2θ = 37.47°, intensity 165, hkl 2 0 2
- 2θ = 44.92°, intensity 201, hkl 0 2 4
- 2θ = 47.02°, intensity 195, hkl 3 -1 1

(2)
Calculated powder XRD pattern of AcCrHgO4 for copper Kα, from a cell relaxed with PBE+U.
Lines closer than 0.1° are merged.

Atomic structure:
~~~

Work order =
The reader should count the lines further up that contain the word "maxima" and give the number alone.

Outcome =
1